In the following text, we will describe the drugs usually indicated to treat hemorrhoids.
Pills Medicines in the presentation of pills can be recommended to help improve blood circulation, reduce inflammation and swelling. The recommendation of doses can be made according to the hemorrhoid crises.
It is also important to emphasize how important it is to check with the doctor about possible side effects, drug interactions and complications.
Among the drugs usually prescribed are:
Daflon ; Venaflon ; Imescard (pills) ; Velunid . In general, all these drugs are aimed at reducing inflammation, swelling and improving blood circulation.
Daflon, for example, is a vasoprotective medication manufactured from the active ingredients Diosmin + Hesperidin , which interfere with the functioning of the vascular system.
This action of the medication contributes to the patient’s improvement in hemorrhoid symptoms precisely because it interferes with blood circulation. The substance increases the speed of blood circulation in the veins and increases the lymphatic drainage , which results in the reduction of swelling and discomfort.
The use of this medication should only be done under medical prescription, being previously contraindicated for children, pregnant women and people who are hypersensitive to the components.
Possible side effects include diarrhea , nausea, vomiting and indigestion.
Venaflon and Velunid have a similar action to Daflon, helping to relieve symptoms caused by swelling and inflammation in the anal veins.
The time of use of these pills must be done according to the medical recommendation, it is essential that the patient does not prolong or abandon the treatment without the guidance of a specialist.
OintmentsThe options available for ointments for the treatment of hemorrhoids are more varied. They can be used to help with healing and hydration of the affected region, as well as helping to relieve symptoms such as pain and itching due to the analgesic or anti-inflammatory effect.
The amount in which they should be applied may vary according to the patient’s need and medical recommendation. The average, usually, is that the ointment is applied to the anal area 2 to 3 times a day, and can be applied to the external or internal region.
For external or internal application, some hygiene precautions are essential. It is advisable that the patient has clean hands before applying the ointment, as well as the anal area as well.
The treatment time with the ointment must be carried out according to the medical prescription.
Some of the main ointments recommended for these cases are:
Hemovirtus Hemovirtus is an analgesic, anti-inflammatory, soothing and vasoconstrictor ointment, which helps to reduce pain and decrease the chances of fluid loss and bleeding. It can be applied to internal and external hemorrhoids .
**What comes next are quantum chemistry results, not part of the piece**
- - -
[1]
Entry from the OMol25 dataset: C28H64N2O6V as an isolated structure (wB97M-V/def2-TZVPD).

XYZ file:
```
101
C28H64N2O6V wB97M-V/def2-TZVPD
V -7.685 16.659 16.121
C -6.844 17.799 20.330
C -7.066 19.186 19.803
C -6.383 20.113 20.824
C -6.207 21.550 20.408
C -5.491 21.648 19.068
C -6.084 20.715 18.006
N -6.371 19.323 18.433
O -6.725 18.392 17.374
C -4.894 20.571 17.020
C -7.330 21.483 17.484
C -8.607 19.530 19.790
H -6.892 17.654 21.410
H -5.825 17.554 20.031
H -7.522 17.181 19.742
H -5.429 19.613 20.993
H -6.803 20.083 21.830
H -5.533 22.024 21.122
H -7.125 22.135 20.362
H -4.406 21.541 19.104
H -5.660 22.702 18.846
H -4.382 21.440 16.605
H -5.332 20.062 16.162
H -4.138 19.908 17.442
H -8.163 21.544 18.184
H -7.685 20.962 16.595
H -6.967 22.461 17.169
H -9.243 18.802 20.294
H -9.038 19.566 18.789
H -8.914 20.477 20.233
C -11.269 13.863 15.225
C -9.985 13.036 14.855
C -10.459 11.732 14.095
C -10.649 11.935 12.524
C -9.386 12.595 11.941
C -9.192 14.021 12.555
N -9.062 13.859 14.075
O -8.708 15.121 14.737
C -10.310 15.050 12.049
C -7.823 14.489 11.842
C -9.266 12.529 16.177
H -11.288 13.994 16.306
H -12.151 13.387 14.797
H -11.319 14.826 14.716
H -11.273 11.191 14.578
H -9.591 11.073 14.092
H -11.518 12.586 12.428
H -10.893 10.990 12.039
H -9.380 12.735 10.860
H -8.475 12.006 12.044
H -9.982 16.061 12.293
H -11.240 14.836 12.575
H -10.485 14.832 10.995
H -7.442 15.379 12.341
H -7.966 14.794 10.805
H -7.128 13.649 11.838
H -9.902 12.388 17.051
H -8.615 13.309 16.569
H -8.575 11.692 16.079
C -5.130 17.473 12.604
C -5.400 16.976 14.101
C -4.200 17.299 15.021
O -6.480 17.698 14.544
H -4.216 17.015 12.226
H -4.982 18.550 12.539
H -5.911 17.069 11.959
H -5.577 15.902 14.057
H -3.701 18.235 14.771
H -3.523 16.447 15.080
H -4.513 17.534 16.039
H -6.156 18.601 14.510
C -11.809 17.911 15.913
C -10.513 17.875 15.039
C -10.516 18.936 13.986
O -9.286 18.066 15.756
H -12.151 16.883 16.033
H -12.673 18.493 15.593
H -11.457 18.166 16.912
H -10.497 16.924 14.507
H -9.628 18.764 13.379
H -10.372 19.962 14.324
H -11.473 18.943 13.464
H -9.207 19.010 15.907
C -6.067 13.560 18.421
C -5.647 14.830 17.855
C -4.181 14.947 17.554
O -6.293 15.038 16.599
H -6.428 12.880 17.649
H -6.971 13.595 19.030
H -5.335 13.058 19.054
H -5.985 15.652 18.485
H -3.868 15.948 17.258
H -3.759 14.286 16.797
H -3.814 14.725 18.556
H -6.354 14.173 16.186
C -10.177 15.873 18.077
O -8.779 15.912 18.012
H -10.452 16.903 18.306
H -10.474 15.566 17.074
H -10.595 15.146 18.772
H -8.435 15.726 18.889
```

- E_HOMO (alpha / beta) (eV) = -8.316 / -8.336
- Kohn-Sham gap (alpha / beta) (eV) = 6.34 / 3.89
- net charge = +1
- spin multiplicity = 5

---

[2]
Entry from the OMol25 dataset: the molecule C10H20N4O4 (wB97M-V/def2-TZVPD).

XYZ file:
```
38
C10H20N4O4 wB97M-V/def2-TZVPD
N -1.483 3.857 0.326
C -2.564 3.950 -0.656
C -3.295 2.504 -0.942
C -2.341 1.579 -1.629
C -1.239 1.072 -0.747
C -0.263 0.199 -1.634
N -0.993 -0.970 -2.228
C 0.892 -0.202 -0.799
O 1.727 0.667 -0.507
N 1.084 -1.442 -0.368
- - -
Proctyl The Proctyl is a drug available in ointment and suppositories, used to help reduce itching, inflammation and anal fissures caused by hemorrhoids – in these cases, there is usually inflammation.
Doctors can recommend the use for both treatment to relieve symptoms and also for recovery after proctological surgeries.
It can be used for external and internal use , although suppositories are more indicated in the latter case.
Ultraproct Ultraproct can be applied for external and internal use , relieving pain, inflammation and anal fissures. It can be applied 2 to 3 times a day, and its use can be prolonged. The duration of symptoms should not exceed 2 weeks.
Imescard Imescard is an ointment indicated for the treatment of external and internal hemorrhoids , as it helps to reduce inflammation. It should be applied to the anal area, preferably in the morning (after bowel movements) and at night, before sleeping. Before being applied, the patient must thoroughly clean the hands and the anal area.
Proctosan The Proctosan is an ointment that can be used to treat varicose veins and hemorrhoids, helping to reduce pain, redness, itching and other symptoms of the condition. Usually, the patient is instructed to apply the ointment twice a day.
Xyloproct Xyloproct helps to relieve pain, itching and other uncomfortable symptoms caused by hemorrhoids. It can also be used for recovery in patients who need surgery, relieving pain that may arise in the area.
Read more: How to apply cream and ointment for external hemorrhoids?
SuppositoriesSuppositories are drugs in a cylindrical or conical shape, which are inserted into the orifices of the body. It is important that the use is made after evacuation and, as in the case of ointments, they must be used after hand and anus hygiene.
Once introduced, they begin to release the substance responsible for helping to treat a certain condition. In the case of hemorrhoids, suppositories are used to treat internal injuries.
Like other forms of medication, they also help to reduce itching, pain, bleeding, inflammation and accelerate healing. Some examples of suppositories are Ultraproct and Proctyl, which also have versions in ointment.
Read more: What are the types of Suppositories?
Intestinal regulatorsThere are some medications that regulate the intestine and that can help to ease living with hemorrhoids, as they make evacuation easier and prevent constipation .
The intake of some high fiber foods and a good intake of water also help in this regard. On the list of foods are papaya, kiwi , black plum, pumpkin seed , oats and regulating yogurts.
Examples of remedies include:
Angiolax ; Amplofib ; Benefiber ; Fibrems ; Laxasene Bionatus. Home remedies with anti-inflammatory actionIn addition to the traditional medicines prescribed by a doctor, there are also several homemade recipes that promise to relieve hemorrhoid symptoms. Between sitz baths, compresses, food and teas that are said to be miraculous, it is always important to be suspicious of the truth.
It is known that many of the recipes found on the internet do not have scientific proof that they really work, which puts the condition of the patient at risk.
However, taking advantage of the benefits of medicinal herbs and some homemade tricks may be welcome, as long as there are no medical restrictions and the targeted treatment is not replaced.
According to the pharmacist Francielle Tatiana Mathias, some home treatments can help reduce symptoms such as pain and discomfort in the anal area, such as horse chestnut or witch hazel tea, which have therapeutic properties that can improve circulation.
“It is recommended that they be complementary treatments to the drug treatment, which is more effective. In addition, it is worth mentioning that pregnant women should not use these home treatments without medical supervision, as most teas are contraindicated for pregnant women, ”he says.
Check out some of the homemade methods popularly used to help treat hemorrhoids:
Teas for drinking : rosemary tea, horse chestnut tea;Food : foods rich in fiber;Sitz baths with teas : elderberry tea and witch hazel tea;Compress : chamomile tea;Supplementation : capsules of garlic or echinacea.These teas, compresses and sitz baths are indicated according to the anti-inflammatory and vasoconstrictor properties of the plants, which can help speed healing and provide greater relief from the itchy sensation and pain in the area.
Hemorrhoids in pregnancy and the puerperiumThe drugs used in the treatment of hemorrhoids have varied composition, being analgesics, vasoconstrictors and anti-inflammatory drugs. As seen, they can be used orally and rectally (creams, ointments or suppositories).
According to the pharmacist Francielle Tatiana Mathias, in both cases, the substances present in the drugs can reach the mother’s bloodstream. Consequently, they can also be absorbed by the baby. “Therefore, the use of these drugs must be evaluated by the doctor who accompanies the pregnant woman”, he adds.
Common questionsWhat is the best anti-inflammatory ointment for hemorrhoids? Among the options are, for example, Hemovirtus, Proctyl and Ultraproct. However, there are several anti-inflammatory ointments for hemorrhoids that can quickly relieve symptoms and discomfort. However, any health condition must be evaluated by a professional, who can advise on the best way to treat the condition.
What is the best remedy for external hemorrhoids and internal hemorrhoids? Ointments and tablets can be used in both cases, but medical evaluation is essential for a correct indication. The condition and intensity of the pain will determine the need for other treatments as well. Among the options are ointments and creams like Proctyl, Imescard and Hemovirtus.
Are there risks in using hemorrhoid medication frequently? Any medication, whether a pill or an ointment, should be used under medical guidance. This makes the dosages adequate and risks and side effects are reduced.
What is the best anti-inflammatory? Anti-inflammatories should only be used with a medical prescription, according to each case of hemorrhoids. Among the options that the doctor may indicate are Daflon and Venaflon. However, dosages and forms of use must be guided by the professional.
Does hemorrhoid medicine work? Yes, but it is necessary to investigate the situation to verify the need to combine other treatments or forms of prevention. Therefore, the drugs are effective to treat the condition, but do not prevent new manifestations.
If using anti-inflammatory ointment do you need to use other hemorrhoid medications? In general, medications are used in isolation. Usually, starting with ointments and, if necessary, migrating to tablets. However, it is always necessary to carry out a medical evaluation so that the professional can make the appropriate medication guidelines.
Is there a hemorrhoid treatment pill? Yes. In some cases, when the ointment (topical use) is not recommended or is not working, it may be necessary to use systemic medications, such as pills.